Being Doers of the Word
On Wednesday this week, we looked ahead at August and three things.
First, we are continuing our on-campus schedule for Sunday mornings throughout this next month, which means it will be the 8:30am traditional and 11:00am contemporary services at West U Baptist, and the 11:00am English and 1:30pm Spanish services at Crosspoint Church-Bellaire. We’ve maintained the highest levels of health protocol to allow our Church Family places to worship safely alongside each other, and we believe that we are getting closer and closer to that time when we can all be together again.
Second, as much as we have worked to ensure great on-campus experiences, we have been able to fluidly adapt many of our experiences into the virtual space. We’re using this current trial as a blessing to mature not only our faith (James 1:2–4) but our digital skills to bring Sunday morning worship and other events to you at your home. For example, next month, VBS will rule the digital space! Middle school students will have Virtual VBX: Summer Games to compete in (August 10–14), and Senior Adults will be able to receive “VBS in a Box” for this year’s Senior Adult VBS entitled “The Battleground of our Minds” (August 17–20). Moreover, our classic VBS for preschool and elementary kids has already gone online, and you can participate anytime! Click over to our KidStuff Virtual VBS page for interactive video access and the chance to sign up for a special at-home kit.
Third, another event we are adjusting to be fully online is August Apologetics, our annual month-long series dedicated to defending the Christian faith by showcasing some of the world’s leading apologists, theologians, and scholars. This year, we are incredibly excited that August Apologetics is going to help launch a top-tier entry into the podcast realm: The Science & Faith Podcast with Dr. James Tour. Dr. Tour is a follower of Christ and world renowned in his scientific fields, fields that I literally need to read off a notecard every time to say them correctly! This podcast is exciting because Dr. Tour will be interviewing other leading, believing scientists such as Drs. Joshua Swamidass, Stephen Meyer, Henry Schaefer, and John Lennox. I’ve said it before, and I fully stand by it—being a part of this podcast is one of the most significant things we will ever do at West U Baptist and Crosspoint Church. More details to come, but in the meantime set your calendars for Monday nights August 10, 17, 24, and 31 and subscribe to Dr. Tour’s YouTube channel and our CityRise YouTube channel.
One of my favorite things about Dr. Tour is that he doesn’t merely theorize about science in journals and papers, he works in it every day. He’s a listener and a doer. This reminds me of part of this past Sunday’s lesson from James. As believers in Christ, James instructs us to receive the Word and to do what it says.
Anyone who listens to the word but does not do what it says is like someone who looks at his face in a mirror and, after looking at himself, goes away and immediately forgets what he looks like.But whoever looks intently into the perfect law that gives freedom and continues in it—not forgetting what they have heard but doing it—they will be blessed in what they do. (James 1:23–25)
For us to grow, to see trials as blessings for maturity, we are called to do more than simply read God’s Word or listen to a sermon then walk away as if it didn’t mean anything. God has something for us to learn and do every day. I pray that we all apply the Word daily so that we can hear the words of Jesus and put them into practice like the wise man who built his house upon a rock rather than the fool who built his upon sand, so that when the rains come our house will stand because it’s foundation is on the solid words of Jesus Christ (Matthew 7:24–27).
Have a great weekend, Church Family!
Stay Expectant,
== Misplaced quantum chemistry results ==
********
1.
The following is a quantum chemistry calculation of 2 unconnected molecules or ions with the total composition C2H10N2S2, from the Open Molecules 2025 dataset.

Computed properties:
- E_LUMO: 0.68 eV
- Frontier orbital gap: 9.4 eV
- Highest occupied orbital energy: -0.3197 hartree
- SMILES string: CSS.NCN

The geometry in ORCA input format:
```
! RIJCOSX wB97M-V def2-TZVPD def2/J DEFGRID3
* xyz 0 1
C -2.40965 -0.24223 0.91865
S -1.22634 0.89252 0.07930
S -1.03069 0.12054 -1.80120
H -1.86429 -0.59063 1.80434
H -2.62662 -1.18212 0.41569
H -3.25219 0.38005 1.19759
H -0.09329 -0.79873 -1.55500
N 1.26705 -1.31260 0.73310
C 1.92829 -0.00840 0.55088
N 3.34461 -0.13461 0.93558
H 1.78136 -1.99064 0.19158
H 1.17775 -1.64527 1.68815
H 1.89608 0.11388 -0.53112
H 1.33889 0.65489 1.17449
H 3.92457 0.68519 0.78896
H 3.33864 -0.23318 1.94590
*
```


2.
The following is a quantum chemistry calculation of 2 unconnected molecules or ions with the total composition C2H10N3, from the Open Molecules 2025 dataset.

Computed properties:
- E_LUMO (spin up / spin down): 0.87 / 0.72 eV
- Frontier orbital gap (spin up / spin down): 4.0 / 10.6 eV
- <S²>: 0.751
- Highest occupied orbital energy (spin up / spin down): -0.1132 / -0.3635 hartree

The geometry in ORCA input format:
```
! RIJCOSX wB97M-V def2-TZVPD def2/J DEFGRID3
* xyz 0 2
C -1.09901 0.91490 -2.54818
N 0.10963 0.71986 -1.73467
H -0.85605 1.46402 -3.45189
H -1.47995 -0.06128 -2.83104
H -1.85255 1.46228 -1.99904
H 0.59133 1.60383 -1.43464
H 0.87131 0.21680 -2.26457
H 1.40623 -1.74589 0.90160
N -0.40703 0.04073 1.06720
C 0.25189 -0.47524 2.02228
N 1.10112 -1.51358 1.83655
H -1.01659 0.79629 1.38732
H -0.10492 0.18692 -0.86417
H 0.18442 -0.17304 3.07236
H 1.79739 -1.67237 2.54524
*
```


3.
The following is a quantum chemistry calculation of 2 unconnected molecules or ions with the total composition C2H10N3, from the Open Molecules 2025 dataset.

Computed properties:
- E_LUMO: -3.22 eV
- Frontier orbital gap: 11.0 eV
- Highest occupied orbital energy: -0.5233 hartree

The geometry in ORCA input format:
```
! RIJCOSX wB97M-V def2-TZVPD def2/J DEFGRID3
* xyz 1 1
C 1.44527 -1.52826 -1.59307
N 0.48749 -0.51780 -1.03422
H 1.34524 -1.49135 -2.66423
H 1.45088 -2.50529 -1.04199
H 2.32636 -1.06590 -1.39073
H 0.49462 0.42391 -1.54635
H -0.53383 -0.69046 -1.10009
H 0.68065 -0.40018 -0.05011
N -1.51831 1.02485 0.49625
C -0.89605 1.29444 1.71272
N 0.15391 0.52474 1.95442
H -1.78379 1.99376 0.27680
H -2.38539 0.53295 0.59297
H -1.55093 1.98148 2.38272
H 0.28389 0.42311 3.00491
*
```


4.
The following is a quantum chemistry calculation of a gas-phase ion, C2H10N3O (charge +1), from the Open Molecules 2025 dataset.

Computed properties:
- E_LUMO: -3.09 eV
- Frontier orbital gap: 11.6 eV
- Highest occupied orbital energy: -0.5385 hartree
- SMILES string: N[C@@H]([NH3+])[C@@H](N)O

The geometry in ORCA input format:
```
! RIJCOSX wB97M-V def2-TZVPD def2/J DEFGRID3
* xyz 1 1
N 0.73968 0.64333 -1.61870
C -0.16468 -0.11916 -0.74952
********
== Back to the piece ==
Pastor Roger
**Molecular data, kept here for reference**
/*
(1)
Entry from the OMol25 dataset: a molecular structure, C32H26BrCl2N6O9P2Pb (ωB97M-V with the def2-TZVPD basis set).

Its net charge is +1. The energy above the lowest of the compared OMol25 structures with the same formula, charge and spin comes out at 15.83 kJ/mol. Its spin multiplicity is 1. The gap between HOMO and LUMO comes out at 6.12 eV.

Each line ends with the Mulliken charge.
Cartesian coordinates (Å):
Pb1 -0.36318 -0.45682 -0.62068  1.743
Cl1 6.52547 0.16885 -0.90700  -0.155
C1 4.96802 -0.45664 -1.22630  0.097
C2 3.98269 0.37750 -1.59047  -0.960
C3 2.65597 -0.14120 -1.82132  0.693
N1 1.60143 0.52515 -2.12620  0.084
C4 1.59175 1.87227 -2.52437  -0.309
O1 2.55795 2.48297 -2.91015  -0.615
C5 0.21687 2.49499 -2.56932  0.818
C6 0.12920 3.82683 -2.94463  -0.821
C7 -1.12554 4.40434 -3.03972  -0.491
C8 -2.23904 3.63180 -2.75721  -0.840
C9 -2.05229 2.30674 -2.39080  -0.225
N2 -0.85321 1.74084 -2.29863  -0.039
C10 2.43538 -1.64272 -1.69463  0.666
C11 3.55581 -2.47242 -1.31799  -0.750
C12 4.74904 -1.90936 -1.07997  0.087
Cl2 6.05716 -2.88225 -0.57303  -0.151
N3 1.23276 -2.02101 -1.94366  -0.014
C13 0.82058 -3.36030 -2.08385  -0.178
O2 1.55651 -4.30175 -2.23146  -0.623
C14 -0.67671 -3.50994 -2.19844  0.623
C15 -1.18519 -4.76610 -2.47840  -0.726
C16 -2.55384 -4.90554 -2.64538  -0.457
C17 -3.35724 -3.78499 -2.53234  -0.915
C18 -2.75951 -2.56850 -2.23729  -0.288
N4 -1.44964 -2.42612 -2.07020  0.138
H1 4.16213 1.43459 -1.70019  0.657
H2 1.03475 4.37631 -3.15790  0.532
H3 -1.23128 5.44119 -3.33006  0.478
H4 -3.23850 4.03822 -2.82688  0.464
H5 -2.90233 1.67162 -2.16635  0.479
H6 3.40969 -3.53400 -1.20345  0.639
H7 -0.50518 -5.60085 -2.56568  0.521
H8 -2.98353 -5.87344 -2.86516  0.459
H9 -4.42839 -3.84297 -2.66485  0.456
H10 -3.36091 -1.67289 -2.12418  0.577
Br1 3.18302 6.65343 -0.00744  -0.169
C19 1.92392 5.27677 0.26943  -0.022
C20 0.56925 5.57505 0.24790  -0.769
C21 -0.35618 4.56127 0.43305  -0.664
C22 0.07143 3.25257 0.64135  -0.475
C23 1.43250 2.96715 0.65369  0.100
C24 2.36262 3.97843 0.47740  -0.732
N5 -0.82282 2.15993 0.77058  0.820
C25 -1.92187 2.31902 1.38096  -0.920
C26 -2.90035 1.22378 1.51649  0.607
C27 -3.98339 1.37985 2.36766  -0.887
C28 -4.85050 0.31158 2.55291  -0.517
C29 -4.59095 -0.87228 1.88920  -0.989
C30 -3.48929 -0.93307 1.04304  -0.351
N6 -2.67253 0.09337 0.84003  0.435
H11 0.24192 6.59028 0.07125  0.460
H12 -1.41259 4.78717 0.36641  0.471
H13 1.75683 1.94439 0.81310  0.548
H14 3.42129 3.75913 0.49479  0.515
H15 -2.18180 3.25497 1.88348  0.497
H16 -4.13261 2.31710 2.88753  0.489
H17 -5.70100 0.40254 3.21480  0.445
H18 -5.21809 -1.74270 2.01951  0.475
H19 -3.23691 -1.85429 0.53025  0.472
C31 0.71136 -1.92765 4.38117  -1.958
C32 0.54899 -1.60665 2.89932  0.626
O3 -0.28978 -0.46899 2.68849  -0.282
P1 2.16263 -1.28249 2.09429  -0.297
O4 2.98582 -2.60590 2.19078  -0.609
O5 2.95822 -0.23730 2.99521  -0.553
O6 1.94583 -0.69084 0.74861  0.661
P2 -0.17841 -3.04171 1.97671  0.851
O7 -1.42627 -3.52116 2.86209  -0.571
*/
**Back to the text**

== What comes next are calculated molecules, not part of the page ==
[1]
ORCA calculation (wB97M-V/def2-TZVPD) on an isolated ion of composition C4H6N4 and charge +2 in a non-equilibrium geometry.

The geometry in XYZ format:
```
14
Properties=species:S:1:pos:R:3:mulliken_charge:R:1
C -0.36613 0.27989 -2.02215 -0.131
C 0.75454 1.26536 1.00040 -0.217
C -0.03506 -0.71497 0.30868 0.384
C -0.66321 0.44484 -0.54632 0.342
N -0.11478 -0.03447 -3.08582 -0.135
N -0.04690 1.67096 0.06598 0.030
N 0.80284 -0.04836 1.18047 -0.022
N -0.23333 -2.00023 0.32265 -0.281
H 1.28665 1.93414 1.53077 0.498
H -1.85924 0.39568 -0.65487 0.366
H -0.35918 2.48079 -0.40358 0.271
H 1.41462 -0.61479 1.76373 0.263
H -1.00380 -2.47206 -0.28139 0.354
H 0.42298 -2.58677 0.82146 0.278
```

Values from the calculation:
Energy in eV: -10185.2921
Highest occupied orbital energy in Ha: -0.76340
Frontier orbital gap in eV: 10.0
Relative energy (zero: lowest compared OMol25 entry of this formula, charge and spin) in kcal/mol: 7.3
SMILES: N#C[C@@H]1NC=[NH+]C1=[NH2+]
LUMO level in eV: -10.78
Net charge: +2
2S+1: 1



[2]
ORCA calculation (wB97M-V/def2-TZVPD) on CNO4S2Sc as an isolated structure in a non-equilibrium geometry.

The geometry in XYZ format:
```
9
Properties=species:S:1:pos:R:3:mulliken_charge:R:1
Sc -0.03021 1.43012 0.76358 1.902
N -2.08010 -0.49414 -1.23374 -0.109
S -1.59184 0.80645 -1.95989 0.580
O -0.66532 1.69403 -1.08438 -0.557
S -1.86058 -1.17351 0.17072 0.558
O -0.77840 -0.41584 1.02440 -0.524
O 1.87477 0.45358 0.73971 -0.563
C 2.27199 -0.65619 0.82608 0.825
O 2.85969 -1.64449 0.75351 -0.113
```

Values from the calculation:
Energy in eV: -53070.7056
Highest occupied orbital energy (alpha / beta) in Ha: -0.65751 / -0.65754
Frontier orbital gap (alpha / beta) in eV: 7.2 / 7.2
Relative energy (zero: lowest compared OMol25 entry of this formula, charge and spin) in kcal/mol: 0.0
LUMO level (alpha / beta) in eV: -10.67 / -10.67
Net charge: +2
2S+1: 1



[3]
ORCA calculation (wB97M-V/def2-TZVPD) on a single C3H5BrO molecule in a non-equilibrium geometry.

The geometry in XYZ format:
```
10
Properties=species:S:1:pos:R:3:mulliken_charge:R:1
C 0.28005 1.69564 -0.25980 -0.104
C -0.28976 -0.52993 0.56841 -1.058
C 0.60702 0.23989 -0.41985 -0.037
O -0.61207 2.14126 0.40163 -0.431
Br 2.49610 0.02931 0.05226 -0.127
H 0.86609 2.49674 -0.69449 0.423
H -0.54842 -0.06217 1.53378 0.296
H -0.01541 -1.59136 0.73952 0.354
H -1.33195 -0.73823 0.19662 0.318
H 0.63282 0.02813 -1.40411 0.366
```

Values from the calculation:
Energy in eV: -75281.0754
Highest occupied orbital energy in Ha: -0.37343
Frontier orbital gap in eV: 10.5
Relative energy (zero: lowest compared OMol25 entry of this formula, charge and spin) in kcal/mol: 4.7
SMILES: C[C@H](Br)C=O
LUMO level in eV: 0.38
2S+1: 1



[4]
ORCA calculation (wB97M-V/def2-TZVPD) on a 9-piece molecular cluster, C23H59I2NO11S8 overall.

The geometry in XYZ format:
```
104
Properties=species:S:1:pos:R:3:mulliken_charge:R:1
C 1.20313 -0.73841 -5.02265 -0.959
C 2.20937 -0.47141 -6.11516 0.988
== So much for the calculated molecules ==
Roger Patterson is the Senior Pastor of the CityRise Network, leading multiple congregations in lifting our city and the world by generously giving the Gospel of Jesus Christ. Roger lives in Houston with his wife Julee, and three children.